Maintenance Services FAQs

Here the entry breaks off for quantum chemistry results >
~~~
1.
2 unconnected molecules or ions with the total composition C2H9N2O at a distorted geometry. Source: the Open Molecules 2025 dataset; level of theory: ωB97M-V with the def2-TZVPD basis set.

Geometry as ORCA input:
```
! RIJCOSX wB97M-V def2-TZVPD def2/J DEFGRID3
* xyz 0 2
C -0.9402 -2.2556 -1.2370
O -0.7698 -1.2527 -0.3110
H -0.2053 -2.2645 -2.0675
H -1.9288 -2.3205 -1.7014
H -0.7870 -3.3070 -0.8404
N -0.5778 1.4271 0.4440
C 0.7281 1.7512 0.9869
N 1.8339 0.9942 0.3491
H -1.4178 1.6205 0.9860
H -0.9356 0.4307 0.1695
H 0.8932 1.4699 2.0676
H 0.8499 2.8334 0.8295
H 1.4394 0.7398 -0.5594
H 1.8177 0.1336 0.8841
*
```

Output
Highest occupied orbital energy (alpha / beta) in eV: -8.69 / -8.68
Gap between HOMO and LUMO (alpha / beta) in eV: 9.434 / 6.384
Energy relative to the best compared isomer or geometry (same formula, charge and spin) in kJ/mol: 155.3
Electronic energy in eV: -7244.0888
Lowest unoccupied orbital energy (alpha / beta) in eV: 0.7 / -2.3

Mulliken atomic charge list, values in e, 4 entries: -0.545 -0.371 0.273 0.273

---

2.
A molecular structure, C14H15FeNS at a distorted geometry. Source: the Open Molecules 2025 dataset; level of theory: ωB97M-V with the def2-TZVPD basis set.

Geometry as ORCA input:
```
! RIJCOSX wB97M-V def2-TZVPD def2/J DEFGRID3
* xyz -2 5
C 0.0360 -1.3257 -1.7509
C -1.2638 -1.2447 -1.1485
C -1.1358 -1.5718 0.2441
C 0.2570 -1.8459 0.5043
C 0.9783 -1.6916 -0.7286
Fe 0.0062 0.0325 -0.1999
C -0.9932 1.5189 -1.0997
C 0.3460 1.8505 -1.5870
C 0.7473 2.6804 -2.5891
N 1.3970 0.9895 -0.7187
H -1.9568 -1.6762 0.9482
H -2.2020 -1.0439 -1.6589
H 0.6721 -2.2232 1.4312
H 2.0385 -1.8889 -0.8615
H 0.2597 -1.2011 -2.8078
H -1.7095 1.2424 -1.8833
H 2.3584 1.2526 -0.9188
H -1.4100 2.2426 -0.3879
H -0.0239 3.2058 -3.1539
H 1.7998 2.8164 -2.8289
S -0.1000 0.9303 1.7384
C -0.1954 -0.0442 3.1604
C 0.9057 -0.8271 3.5700
C 0.8778 -1.4757 4.8018
C -0.2467 -1.3688 5.6301
C -1.3534 -0.6143 5.2177
C -1.3391 0.0400 3.9889
H 1.7692 -0.8955 2.9100
H 1.7414 -2.0636 5.1157
H -0.2596 -1.8726 6.5984
H -2.2292 -0.5288 5.8623
H -2.1810 0.6358 3.6408
*
```

Output
Highest occupied orbital energy (alpha / beta) in eV: 3.49 / -0.53
Gap between HOMO and LUMO (alpha / beta) in eV: 1.731 / 5.698
Electronic energy in eV: -61466.7335
Lowest unoccupied orbital energy (alpha / beta) in eV: 5.2 / 5.2

Mulliken atomic charge list, values in e, 4 entries: -0.213 -0.470 -0.913 -0.654

---

3.
C19H34N4OS in the gas phase. Source: the Open Molecules 2025 dataset; level of theory: ωB97M-V with the def2-TZVPD basis set.

Geometry as ORCA input:
```
! RIJCOSX wB97M-V def2-TZVPD def2/J DEFGRID3
* xyz 0 1
C -5.7435 3.2675 2.6807
C -4.5853 2.2795 2.5521
C -3.3591 2.8184 3.2825
C -4.2960 2.0108 1.0707
C -3.2513 0.9080 0.8291
N -1.9399 1.4749 0.5344
C -0.8116 0.6975 1.0224
C -0.4826 -0.5142 0.1505
N -0.2171 -0.0574 -1.2007
C 0.2578 -1.1267 -2.0592
C 1.6198 -1.5717 -1.6471
C 2.6671 -0.8261 -1.2213
N 3.8105 -1.4923 -0.9151
C 3.6805 -2.7627 -1.1024
~~~

Here are some of the frequently asked questions

1. What is Lebern’s maintenance service?
Answer: Lebern’s maintenance service is a low cost recurring maintenance service which covers all labour costs for maintenance queries

2. Why is maintenance provided by Lebern important?
Answer: Maintenance provided by Lebern is essential to have a fixed cost of maintenance for the year.

3. What is preventive maintenance according to Lebern?
Answer: Preventive maintenance, as provided by Lebern, is a proactive approach that involves regular inspections, cleaning, lubrication, and adjustment to prevent breakdowns and identify potential issues early on such as PAT testing.

4.  How can I request maintenance service from Lebern?
Answer: You can request maintenance services online 

5. Are Lebern’s maintenance technicians certified and experienced?
Answer:  Yes, Lebern’s maintenance technicians are highly skilled, certified, and experienced in performing maintenance tasks across various industries.

6. How long does a typical maintenance service from Lebern take?
Answer: The duration of a maintenance service from Lebern depends on the complexity of the task

7. Does Lebern offer emergency maintenance services?
Answer: Yes, Lebern provides emergency maintenance services to address urgent situations and equipment failures outside of regular working hours.

8. Can Lebern provide a cost estimate for maintenance services?
Answer: Yes, Lebern can provide a cost estimate after evaluating the specific maintenance requirements of your equipment or property.

9. Do I need to be present during the maintenance service provided by Lebern?
Answer: It is not always necessary for you to be present during Lebern’s maintenance service, but it is advisable for you or a representative to be available to answer any questions the technicians may have.

10. What if additional repairs are needed during maintenance provided by Lebern?
Answer:  If additional repairs are required during maintenance provided by Lebern, our technicians will inform you about the issues, provide a detailed explanation, and discuss the necessary steps and costs involved.

11. Does Lebern offer maintenance contracts?
Answer: Yes, Lebern offers maintenance contracts that provide regular scheduled maintenance, priority service, and cost savings compared to individual service requests.

12. Can Lebern provide references or testimonials from previous clients?
Answer:  Yes, Lebern can provide references or testimonials upon request, demonstrating our track record and customer satisfaction.

Data records, kept here for reference:
=====
Entry 1:
The following is a DFT calculation (ωB97M-V with the def2-TZVPD basis set) of the molecule C23H30N4O.

Computed properties:
E_LUMO: 0.62 eV
Energy relative to the best compared isomer or geometry (same formula, charge and spin): 229.3 kJ/mol
SMILES: O=C(Nc1ccnn1C1CCN(C/C=C/c2ccccc2)CC1)C1CCCC1
Total charge: 0
E_tot: -32345.7679 eV
HOMO-LUMO gap: 8.58 eV
Spin multiplicity: 1

Atoms and positions in Å:
O: -0.369 -1.479 1.297
C: -1.041 -1.252 0.318
N: -0.592 -1.449 -0.959
C: 0.578 -2.135 -1.305
C: 0.716 -3.247 -2.114
C: 2.092 -3.492 -2.128
N: 2.736 -2.606 -1.395
N: 1.818 -1.779 -0.902
C: 2.211 -0.663 -0.076
C: 3.280 0.169 -0.797
C: 4.185 0.881 0.229
N: 3.542 1.229 1.472
C: 2.700 2.412 1.465
C: 1.331 2.276 0.855
C: 1.022 2.682 -0.372
C: -0.292 2.518 -0.991
C: -0.389 2.176 -2.339
C: -1.623 2.003 -2.937
C: -2.784 2.194 -2.204
C: -2.700 2.549 -0.867
C: -1.465 2.702 -0.263
C: 3.029 0.063 2.179
C: 2.749 -1.144 1.271
C: -2.469 -0.730 0.354
C: -2.838 -0.194 1.746
C: -4.173 -0.848 2.101
C: -4.072 -2.214 1.432
C: -3.461 -1.884 0.071
H: -1.265 -1.349 -1.706
H: -0.060 -3.792 -2.611
H: 2.628 -4.270 -2.634
H: 1.315 -0.061 0.093
H: 3.887 -0.502 -1.406
H: 2.797 0.891 -1.456
H: 4.605 1.788 -0.211
H: 5.019 0.222 0.488
H: 2.587 2.724 2.510
H: 3.257 3.191 0.938
H: 0.582 1.785 1.463
H: 1.783 3.136 -0.997
H: 0.514 2.034 -2.917
H: -1.682 1.729 -3.980
H: -3.749 2.072 -2.674
H: -3.603 2.710 -0.295
H: -1.402 2.989 0.776
H: 2.114 0.338 2.705
H: 3.771 -0.230 2.935
H: 2.009 -1.788 1.744
H: 3.655 -1.723 1.094
H: -2.562 0.047 -0.409
H: -2.889 0.893 1.761
H: -2.069 -0.514 2.452
H: -4.328 -0.915 3.176
H: -5.000 -0.282 1.666
H: -5.033 -2.718 1.343
H: -3.392 -2.851 1.999
H: -4.240 -1.541 -0.612
H: -2.971 -2.750 -0.377

=====

Entry 2:
The following is a DFT calculation (ωB97M-V with the def2-TZVPD basis set) of the molecule C23H30N4O3S in a non-equilibrium geometry.

Computed properties:
E_LUMO: 0.56 eV
Energy relative to the best compared isomer or geometry (same formula, charge and spin): 54.3 kJ/mol
SMILES: CC(C)c1ccc(N(CC(=O)NC2CCCC2)C(=O)CCC(=O)Nc2nccs2)cc1
Total charge: 0
E_tot: -47278.2260 eV
HOMO-LUMO gap: 9.12 eV
Spin multiplicity: 1

Atoms and positions in Å:
C: -5.333 -0.848 2.463
C: -4.355 0.169 3.053
C: -5.099 1.404 3.566
C: -3.311 0.565 2.040
C: -1.960 0.448 2.337
C: -0.989 0.771 1.407
C: -1.364 1.210 0.144
N: -0.377 1.534 -0.817
C: 0.707 2.413 -0.388
C: 1.958 1.560 -0.116
O: 2.220 1.124 0.990
N: 2.685 1.333 -1.218
C: 3.786 0.397 -1.270
C: 3.447 -0.799 -2.183
C: 4.698 -1.024 -3.029
C: 5.217 0.393 -3.252
C: 5.050 1.041 -1.878
C: -0.320 1.026 -2.073
O: 0.480 1.457 -2.891
C: -1.178 -0.182 -2.391
C: -0.676 -1.386 -1.573
C: -1.626 -1.735 -0.457
O: -2.831 -1.677 -0.547
N: -1.079 -2.195 0.724
C: 0.212 -2.186 1.176
N: 1.289 -2.117 0.477
C: 2.396 -2.120 1.261
C: 2.175 -2.204 2.593
S: 0.484 -2.276 2.916
C: -2.712 1.398 -0.142
C: -3.670 1.067 0.794
H: -5.959 -0.388 1.703
H: -5.979 -1.245 3.243
H: -4.794 -1.672 2.000
H: -3.843 -0.298 3.903
H: -5.622 1.902 2.753
=====
Back to the page:

13. Does Lebern offer maintenance services for residential properties?
Answer: Yes.

-- Here the article breaks off for calculated molecules --
~~~
The following is a DFT calculation (ωB97M-V with the def2-TZVPD basis set) of C38H42FeN2OP as an isolated structure.

```
85
Properties=species:S:1:pos:R:3:forces:R:3
Fe 2.05347 -0.07232 3.63139 0.50 -0.76 0.39
P 0.09179 0.41379 -1.04820 0.35 0.73 -0.98
O -6.21328 -1.52220 3.23102 0.33 0.57 0.31
N -0.49019 -0.69371 -2.26137 -0.96 0.05 -0.53
N 1.75620 0.00957 -1.45387 0.25 0.58 -0.03
C 3.75077 0.96340 4.02845 0.45 1.09 -0.97
C 4.06404 -0.41795 3.68443 1.31 0.27 -0.05
C 4.14289 0.42470 -0.87861 -0.24 0.08 0.46
C -4.34498 -1.92018 1.77663 -1.13 0.40 1.41
C -4.92941 -1.18536 2.85017 0.99 0.61 -1.02
C -1.78394 -0.69620 -2.95393 -0.18 -0.14 -0.30
C -2.91702 0.24636 2.83748 0.04 -0.70 0.39
C 1.68721 2.56143 -2.80814 -0.40 0.79 -0.27
C 0.56452 -1.40165 -2.81515 0.80 -0.22 -0.14
C -4.19401 -0.08305 3.35897 -0.50 -0.22 -0.44
C -3.24033 0.00536 -4.76342 0.72 -0.09 0.08
C -5.36932 -1.13784 -5.36522 -0.32 0.28 -0.03
C 0.87188 0.68246 5.00952 -1.38 -0.20 0.02
C -2.00706 0.07171 -4.09951 0.23 0.55 0.01
C -0.74414 -0.72438 1.84417 2.28 -0.50 -1.86
C 3.47415 -0.74574 2.41686 -0.07 0.12 -1.30
C 6.45346 3.41829 -1.24114 0.07 0.29 0.33
C 1.06728 -0.74032 5.22437 -0.98 -0.15 0.91
C -4.06910 -1.57647 -3.20822 0.33 -0.31 -0.13
C -4.23750 -0.88723 -4.41376 0.35 0.01 0.56
C 2.91713 0.88602 -1.39429 0.47 0.15 -0.55
C 5.20714 1.33114 -0.70769 -0.21 -0.53 -0.48
C 2.79898 0.45647 1.92087 1.47 -1.00 -1.57
C 3.00342 1.52677 2.91950 1.36 0.88 0.96
C 2.88117 2.17086 -1.98587 -0.13 -0.35 0.57
C 0.30520 0.86260 3.67814 -1.22 0.89 1.54
C 0.09745 -0.43025 3.08709 -0.87 -1.33 -0.48
C -2.82962 -1.54020 -2.53701 0.16 0.30 -0.01
C 3.98461 3.02143 -1.86040 0.31 0.26 -0.32
C -6.89227 -0.61428 4.10846 -0.04 -0.39 -0.37
C 1.77998 -1.04437 -2.35304 -0.60 -0.59 -0.86
C 0.67070 -1.43193 3.99202 -1.78 -0.18 -0.08
C 4.34752 -1.02551 -0.51753 0.32 -0.34 0.15
C -2.21821 -0.70796 2.04655 -1.28 0.25 0.09
C -3.01994 -1.71905 1.47283 0.60 -0.58 0.74
C 5.18628 2.60286 -1.25927 -0.73 -0.06 -0.04
C -0.93223 0.97345 -4.65623 -0.10 0.73 -0.18
C -2.56932 -2.35617 -1.32801 0.01 -0.13 0.08
H 1.49071 1.83381 -3.61893 0.15 0.21 0.53
H 5.03442 -1.09171 0.34443 -0.35 -0.03 -0.43
H 1.03402 1.46996 5.73159 0.12 -0.03 0.00
H 3.60655 -1.69965 1.87121 -0.21 0.81 0.65
H -6.51456 -0.66712 5.14318 -0.07 -0.10 -0.32
H -3.45623 -2.95464 -1.09750 0.19 0.02 0.18
H -6.03805 -1.89212 -4.95819 -0.16 -0.02 -0.08
H 1.89032 3.53068 -3.29628 -0.12 -0.30 0.16
H 3.40582 -1.53797 -0.25501 0.45 0.31 -0.12
H 4.81975 -1.58536 -1.36005 -0.33 0.42 0.38
H -2.58887 -2.47654 0.80700 -0.01 0.50 1.22
H 2.32720 0.54393 0.93981 0.32 0.15 0.55
H -4.90774 -2.17216 -2.80002 0.74 0.11 -0.31
H 1.41449 -1.16520 6.18370 -0.36 0.07 -0.76
H 7.31692 2.74217 -1.23612 -0.14 0.20 0.03
H -6.80842 0.43067 3.76522 -0.09 -0.37 -0.02
H 2.65993 2.57147 2.86291 0.29 -0.66 -0.19
H 0.39124 -2.12457 -3.60022 -0.10 -0.09 0.18
H 6.10182 1.01643 -0.16206 -0.25 -0.16 -0.33
H 6.51719 4.04975 -0.34280 -0.01 -0.15 -0.15
H -4.92273 -2.69595 1.26793 0.14 0.16 0.29
~~~

14. Can Lebern customize maintenance plans based on my requirements?
Answer:  Absolutely! Lebern can work with you to develop a customized maintenance plan that aligns with your specific needs and budget.